Chapter 17 - Running away

Muchen dashed down the stairs completely flustered. His body was completely doused in that orange scent which made his even dizzier.

Seeing him running down in a dazed state the head chef rushed to him with a frown. "Mister Chen is everything okay? I send that man in the wrong direction.'

"Which direction?"

The head chef pointed to his right. "Towards the main road."

Muchen nodded and looked around. His eyes fell on a huge meat cleaver. He picked it up and tested its weight.

The chef felt something was not right with their star so he quickly took it out of his hands.

"But I suggest you wait a bit here until the coast is clear. My cousin is a cop. He is on the way and…."

"Take that kid to the hospital." Muchen picked up a rolling pin from the worktable and was already out the door, leaving the chef stunned.

"Wait sir…" The chef ran after him. he couldn't keep up with him. panting he gazed at his disappearing figure taking a right turn. "Sir it's the wrong way!!! that masked guy went that way!"

Muchen zoned out his voice as he ran. He ran as fast as he could. All that pleasure and that guilt he felt turned to rage. He wanted to fuck someone up.

And that perfect person was very close.

Just as he exited the alleyway, he spotted the black-clothed man looking left and right in frustration.

"There you are fucker."

The shooter gazed back at him; eyes wide open. Before he got the chance to take the gun out of his pocket, Muchen was already on him, hitting him with the rolling pin.

A single hit... it was all it took to knock out the man.

Muchen gazed at the man on the ground with a dangerous grin. "you fucker! You think you can fuck me up!!! fuckl!!!"

/*
Entry 1:
Material: Zr6NCl15
Method: DFT, GGA-PBE
State: relaxed

Values from the calculation:
Formation energy ... -2.235 eV/atom
Raw total energy ... -1018.55 eV/cell

Unit cell a=18.7165 b=18.7165 c=18.7165 alpha=109.47 beta=109.47 gamma=109.47
Closest atoms and distances in Å follow each position.
Element x y z (fractional)
Zr1 0.0190 0.0454 0.4047  1 N 2.29, 4 Cl 2.53-2.54
Zr2 0.0190 0.4737 0.6143  1 N 2.29, 4 Cl 2.53-2.54
Zr3 0.0263 0.0454 0.1407  1 N 2.29, 4 Cl 2.53-2.54
Zr4 0.0263 0.4810 0.8857  1 N 2.29, 4 Cl 2.53-2.54
Zr5 0.0454 0.1407 0.0263  1 N 2.29, 4 Cl 2.53-2.54
Zr6 0.0454 0.4047 0.0190  1 N 2.29, 4 Cl 2.53-2.54
Zr7 0.0953 0.1407 0.6143  1 N 2.29, 4 Cl 2.53-2.54
Zr8 0.0953 0.4546 0.4810  1 N 2.29, 4 Cl 2.53-2.54
Zr9 0.1143 0.6407 0.5953  1 N 2.29, 4 Cl 2.53-2.54
Zr10 0.1143 0.9737 0.5190  1 N 2.29, 4 Cl 2.53-2.54
Zr11 0.1407 0.0263 0.0454  1 N 2.29, 4 Cl 2.53-2.54
Zr12 0.1407 0.6143 0.0953  1 N 2.29, 4 Cl 2.53-2.54
Zr13 0.3593 0.4047 0.8857  1 N 2.29, 4 Cl 2.53-2.54
Zr14 0.3593 0.4546 0.4737  1 N 2.29, 4 Cl 2.53-2.54
Zr15 0.3857 0.9047 0.8593  1 N 2.29, 4 Cl 2.53-2.54
Zr16 0.3857 0.9810 0.5263  1 N 2.29, 4 Cl 2.53-2.54
Zr17 0.4047 0.0190 0.0454  1 N 2.29, 4 Cl 2.53-2.54
Zr18 0.4047 0.8857 0.3593  1 N 2.29, 4 Cl 2.53-2.54
Zr19 0.4546 0.4737 0.3593  1 N 2.29, 4 Cl 2.53-2.54
Zr20 0.4546 0.4810 0.0953  1 N 2.29, 4 Cl 2.53-2.54
Zr21 0.4737 0.3593 0.4546  1 N 2.29, 4 Cl 2.53-2.54
Zr22 0.4737 0.6143 0.0190  1 N 2.29, 4 Cl 2.53-2.54
Zr23 0.4810 0.0953 0.4546  1 N 2.29, 4 Cl 2.53-2.54
Zr24 0.4810 0.8857 0.0263  1 N 2.29, 4 Cl 2.53-2.54
Zr25 0.5190 0.1143 0.9737  1 N 2.29, 4 Cl 2.53-2.54
Zr26 0.5190 0.9047 0.5454  1 N 2.29, 4 Cl 2.53-2.54
Zr27 0.5263 0.3857 0.9810  1 N 2.29, 4 Cl 2.53-2.54
Zr28 0.5263 0.6407 0.5454  1 N 2.29, 4 Cl 2.53-2.54
Zr29 0.5454 0.5190 0.9047  1 N 2.29, 4 Cl 2.53-2.54
Zr30 0.5454 0.5263 0.6407  1 N 2.29, 4 Cl 2.53-2.54
Zr31 0.5953 0.1143 0.6407  1 N 2.29, 4 Cl 2.53-2.54
Zr32 0.5953 0.9810 0.9546  1 N 2.29, 4 Cl 2.53-2.54
Zr33 0.6143 0.0190 0.4737  1 N 2.29, 4 Cl 2.53-2.54
Zr34 0.6143 0.0953 0.1407  1 N 2.29, 4 Cl 2.53-2.54
Zr35 0.6407 0.5454 0.5263  1 N 2.29, 4 Cl 2.53-2.54
Zr36 0.6407 0.5953 0.1143  1 N 2.29, 4 Cl 2.53-2.54
Zr37 0.8593 0.3857 0.9047  1 N 2.29, 4 Cl 2.53-2.54
Zr38 0.8593 0.9737 0.9546  1 N 2.29, 4 Cl 2.53-2.54
Zr39 0.8857 0.0263 0.4810  1 N 2.29, 4 Cl 2.53-2.54
Zr40 0.8857 0.3593 0.4047  1 N 2.29, 4 Cl 2.53-2.54
Zr41 0.9047 0.5454 0.5190  1 N 2.29, 4 Cl 2.53-2.54
Zr42 0.9047 0.8593 0.3857  1 N 2.29, 4 Cl 2.53-2.54
Zr43 0.9546 0.5953 0.9810  1 N 2.29, 4 Cl 2.53-2.54
Zr44 0.9546 0.8593 0.9737  1 N 2.29, 4 Cl 2.53-2.54
Zr45 0.9737 0.5190 0.1143  1 N 2.29, 4 Cl 2.53-2.54
Zr46 0.9737 0.9546 0.8593  1 N 2.29, 4 Cl 2.53-2.54
Zr47 0.9810 0.5263 0.3857  1 N 2.29, 4 Cl 2.53-2.54
Zr48 0.9810 0.9546 0.5953  1 N 2.29, 4 Cl 2.53-2.54
N1 0.0000 0.0000 0.0000  6 Zr 2.29
N2 0.0000 0.0000 0.5000  6 Zr 2.29
N3 0.0000 0.5000 0.0000  6 Zr 2.29
N4 0.0000 0.5000 0.5000  6 Zr 2.29
N5 0.5000 0.0000 0.0000  6 Zr 2.29
*/

He kicked him and hit him with all his might. The poor rolling pin broke after a few hits, rolling off to the road.

"go tell that bitch Muchen said hi." Muchen finally got off him and adjusted his messy hair.

Only after that did his senses return. He heard loud murmurs around him.

People were recording him with looks of shock and fear.

Muchen closed his eyes and tossed the broken rolling pin down. " That bitch… ill kill her..'

the perfect gentleman cover he had maintained for so many years was broken right then.

Without looking back, he walked away to the road and flagged a taxi. As the cameras filmed him he simply got In and left.

A few minutes later, he got a call.

Muchen knew exactly who that was. He cut the call instantly. But his manager was relentless. He kept calling and calling until he finally snapped.


"you lunatic, you are tending! What the heck are you doing in s city! For one day!! I trust you alone for one day and you do this!! oh my god, you beat the man until he was in a coma. That bitch of an aunt is making it worse. Just go see webibo."

Muchen rolled his eyes. He knew exactly what kind of topics people must be posting about him. "Did it say I killed him?"

"Yes!! You fucking had blood on you, man!!!"

Muchen massaged his forehead. "I see.. take care of it. I'll be back tonight."

"Fine, I'll arrange a private jet. Do not fly commercial. Who knows? You might get spit on."

Muchen cut the call and told the driver to head out to the airport.

His manager did a wonderful job and booked a ticket for him by the time he got to the airport. With the ticket in hand, he headed off to the gates.

"s-sir… are you hurt?" the check in flight attendants looked at him up and down with a worrying gaze.

"I'm fine.. why do you ask." Muchen gazed at his shirt. The back of it was completely covered in blood. "its not mine….."

the flight attendant's eyes widened even more. "…oh…."

"Do you know where I can get a shirt around here?"

"t-the shop is that way…." Trembling, she pointed his way.

Muchen cast a small smile at her and went as directed.

He hurriedly brought the first shirt he saw on the rack and headed to the bathroom. All along his mind wandered off to that boy he had left in that small bedroom. He was someone he did not know but weirdly, so he left an attachment to him.

Shaking his head Muchen removed his blood-stained clothes. It had turned a brown shade and crusted. His fingers gently scratched upon the stains.

"it must have hurt….. oh, I forgot to tell the chef that he was drugged…. Maybe I should go back…." he gazed at his own reflection.

A sense of guilt was eating into him. he shouldn't have run away like that.

'I ate and ran away just like that… fuck I feel fucked up. he is just a kid.' he looked at his pants. even though it was not strained it had a lot of memories regarding that fateful evening he spent in that small room.

'it's better that I left like that… if I had taken him anywhere, he will be exposed to the media…'

# Materials data, kept here for reference
____________
# 1
VASP calculation (PBE-GGA) on a relaxed structure of Cu8GeSe6.

Cell and atoms, written as POSCAR:
```
Cu8GeSe6
1.0
6.419 3.730 0.000
-6.419 3.730 0.000
0.000 0.047 11.645
Se Cu Ge
12 16 2
Direct
0.816 0.634 0.257
0.688 0.343 0.543
0.819 0.183 0.259
0.180 0.356 0.759
0.183 0.819 0.759
0.659 0.318 0.910
0.356 0.180 0.259
0.001 0.001 0.507
0.318 0.659 0.410
0.343 0.688 0.043
0.634 0.816 0.757
0.001 0.001 0.007
0.035 0.523 0.925
0.527 0.468 0.673
0.524 0.488 0.423
0.188 0.813 0.550
0.811 0.624 0.047
0.524 0.060 0.673
0.950 0.478 0.682
0.488 0.524 0.923
0.478 0.950 0.182
0.375 0.189 0.049
0.624 0.811 0.547
0.060 0.524 0.173
0.189 0.375 0.549
0.813 0.188 0.050
0.468 0.527 0.173
0.523 0.035 0.425
0.994 0.992 0.804
0.992 0.994 0.304
```

Summary:
- ΔE to the lowest computed polymorph: 0.0050 eV/atom
- E_tot: -3.99 eV/atom
- Energy relative to the elements: -291 meV/atom
- Magnetization: 0.0 μB per cell

---

# 2
VASP calculation (PBE-GGA) on a relaxed structure of Tb2P7Rh12.

Cell and atoms, written as POSCAR:
```
Tb2P7Rh12
1.0
2.013 2.817 -1.743
-0.450 5.286 8.019
7.340 -6.069 -1.337
Rh P Tb
12 7 2
Direct
0.249 0.550 0.932
0.751 0.619 0.551
0.252 0.262 0.111
0.251 0.850 0.738
0.748 0.738 0.889
0.748 0.112 0.849
0.751 0.933 0.382
0.749 0.150 0.262
0.249 0.067 0.618
0.249 0.381 0.449
0.751 0.450 0.068
0.252 0.888 0.151
0.245 0.595 0.713
0.755 0.882 0.595
0.755 0.405 0.287
0.500 0.000 0.000
0.245 0.118 0.405
0.245 0.287 0.882
0.755 0.713 0.118
0.749 0.333 0.666
0.251 0.667 0.334
```

Summary:
- E_tot: -7.38 eV/atom
- Energy relative to the elements: -924 meV/atom

---

# 3
VASP calculation (PBE-GGA) on a relaxed structure of Mg2CuSbO6.

Cell and atoms, written as POSCAR:
```
Mg2CuSbO6
1.0
7.371 0.000 0.000
0.000 5.436 0.000
0.000 1.045 5.409
O Mg Cu Sb
12 4 2 2
Direct
0.250 0.126 0.589
0.072 0.864 0.210
0.250 0.403 0.081
0.750 0.874 0.411
0.555 0.354 0.325
0.945 0.354 0.325
0.055 0.646 0.675
0.928 0.136 0.790
0.428 0.864 0.210
0.445 0.646 0.675
0.750 0.597 0.919
0.572 0.136 0.790
0.250 0.536 0.421
0.750 0.936 0.026
0.750 0.464 0.579
0.250 0.064 0.974
0.000 0.500 0.000
0.500 0.500 0.000
0.500 0.000 0.500
0.000 0.000 0.500
```

Summary:
- E_tot: -5.74 eV/atom
- Energy relative to the elements: -2039 meV/atom
- Magnetization: 0.0 μB per cell

=====

[1]
10
Lattice="0.0000 3.9913 3.9913 3.9913 0.0000 3.9913 3.9913 3.9913 0.0000" Properties=species:S:1:pos:R:3 comment="KEuMgWO6 (PBE with a Hubbard U, optimized geometry)" delta_e_f_ev_per_fu=-26.13 magmom_total_mub_per_cell=6.00 spacegroup=F-43m pbc="T T T"
K 0.0000 0.0000 0.0000
Eu 3.9913 3.9913 3.9913
Mg 1.9956 1.9956 1.9956
W 5.9869 5.9869 5.9869
O 5.9869 5.9869 4.0547
O 5.9869 4.0547 5.9869
O 7.9191 5.9869 5.9869
O 4.0547 5.9869 5.9869
O 5.9869 7.9191 5.9869
O 5.9869 5.9869 7.9191

[2]
18
____________
# Back to the entry

His face had a few bloodstains, his well-groomed hair was in disarray falling all over his fair forehead. His lips... were swollen and red.

Muchen touched his own face. 'no….I'll ask someone to take care of him.'

He instantly called his friend to arrange for help for that boy.

"I might have to give some settlement money. After all he got shot because of you. What is his name?"

"Yunfeng, Lin Yunfeng… just get him all the help he needs." He neatly folded his old shirt and changed into his new ones.

It did not take him long to board his flight.

Muchen closed his eyes and slept.

While he was in a peaceful state, the whole network was in a panic. They had seen the new webibo post about their favorite actor beating someone up. at first people did not believe it. they just thought it was someone digging up a scandal.

But after seeing the video everyone felt their heart chill.

"I have seen Muchen act out like a psycho in a movie. At that time I had thought he was a great actor but….. looking at this he must be a violent psycho in real life."

"Is this promotion of this new movie?"

"This is real! It happened right before my eyes! He beat the man until he was left unconscious. The ambulance even said that he had broken a few bones! the guy was barely alive…."

"That bad? Did you guys find out why? Muchen is not a person who would act like that."

That comment was soon flooded with a ton of hate comments cussing Muchen in every language known to man.

Shao, who read everything, felt a sharp headache. "ahhh! It's getting worse by the minute." He hurriedly called Muchen but his phone was switched off.

Sighing, Shao sat down on the sofa hurriedly trying to control the situation. It had already gotten so bad and worse was that Muchen's aunt had hired a water army to completely destroy Muchen's fame.

With a scandal like this, no one would hire him and even the board of directors in the company will not allow Muchen to take ever any important position. This was her way of drowning him completely and cutting off any ways of escape.

Shao bit his lips as he called his friend in s city. "I need the CCTV footage, yes, everything. Muchen was attacked by a gunman. There is a possibility that we can trap that bitch with the proof. work hastily... Call me once you find something."

He cut the call and laid back on the sofa. This bastard did not even tell him why he beat the shit out of the man. he got tired of calling him again and again. The private investigators will find out what happened, then they can do damage control.

Shao quickly hired a water army as well in order to keep it under control/

Just as he did that another one of the posts became a hot topic. It was one where Muchen was looking out of his car with disgust at an accident.

The post even audaciously claimed that had hit and run off.

"Fucking hell…. Muchen ah! Come back here. we need to arrange a public conference immediately,"